Lottery-Ticket Tarot for the Win
The text is interrupted by materials data:
Simulated powder XRD pattern of Li2B5H5 for Cu Ka, from the GGA-PBE geometry in Alexandria.
Kinematic intensities with the Lorentz-polarization factor, no thermal factor.

```
data_Li2B5H5
_space_group_name_H-M_alt 'R 3 m'
_space_group_IT_number 160
_space_group_name_Hall 'R 3 -2"'
_cell_length_a 5.5280
_cell_length_b 5.5280
_cell_length_c 16.6661
_cell_angle_alpha 90.00
_cell_angle_beta 90.00
_cell_angle_gamma 120.00
loop_
_atom_site_label
_atom_site_type_symbol
_atom_site_fract_x
_atom_site_fract_y
_atom_site_fract_z
Li1 Li 0.0000 0.0000 0.0000
Li2 Li 0.0000 0.0000 0.4734
B1 B 0.0000 0.0000 0.6645
B2 B 0.0000 0.0000 0.8226
B3 B 0.1066 0.2133 0.7438
H1 H 0.0000 0.0000 0.5926
H2 H 0.0000 0.0000 0.8934
H3 H 0.2125 0.1063 0.0942
```

Most intense lines, 2θ from 15° to 90°, low angle first:
hkl	2θ (°)	intensity
0 0 3	16.0	58
1 0 1	19.3	100
0 1 2	21.4	17
1 1 0	32.4	21
1 1 6	46.3	6
3 0 6	67.7	7

Simulated powder XRD pattern of Li2B11H11 for Cu Ka, from the GGA-PBE geometry in Alexandria.
Kinematic intensities with the Lorentz-polarization factor, no thermal factor.

```
data_Li2B11H11
_space_group_name_H-M_alt 'F m m 2'
_space_group_IT_number 42
_space_group_name_Hall 'F 2 -2'
_cell_length_a 8.0734
_cell_length_b 11.3363
_cell_length_c 10.5962
_cell_angle_alpha 90.00
_cell_angle_beta 90.00
_cell_angle_gamma 90.00
loop_
_atom_site_label
_atom_site_type_symbol
_atom_site_fract_x
_atom_site_fract_y
_atom_site_fract_z
Li1 Li 0.2500 0.2500 0.0000
B1 B 0.0000 0.0000 0.0031
B2 B 0.0000 0.1301 0.7892
B3 B 0.0000 0.1459 0.9552
B4 B 0.1119 0.0000 0.7511
B5 B 0.1638 0.0801 0.8902
H1 H 0.0000 0.0000 0.1163
H2 H 0.0000 0.2159 0.7230
H3 H 0.0000 0.2325 0.0221
H4 H 0.1952 0.1146 0.4028
H5 H 0.2020 0.0000 0.6614
```

Most intense lines, 2θ from 15° to 90°, low angle first:
hkl	2θ (°)	intensity
0 2 0	15.6	9
1 1 1	15.9	100
0 0 2	16.7	23
0 2 2	23.0	4
0 4 2	35.9	3
3 3 1	42.1	2

Simulated powder XRD pattern of Li3BH6 for Cu Ka, from the GGA-PBE geometry in Alexandria.
Kinematic intensities with the Lorentz-polarization factor, no thermal factor.

```
data_Li3BH6
_space_group_name_H-M_alt 'P 1'
_space_group_IT_number 1
_space_group_name_Hall 'P 1'
_cell_length_a 5.0676
_cell_length_b 5.3088
_cell_length_c 6.7927
_cell_angle_alpha 77.06
_cell_angle_beta 81.88
_cell_angle_gamma 87.70
loop_
_atom_site_label
_atom_site_type_symbol
_atom_site_fract_x
_atom_site_fract_y
_atom_site_fract_z
Li1 Li 0.0000 0.0000 0.0000
Li2 Li 0.0738 0.6331 0.3195
Li3 Li 0.1856 0.5226 0.9040
Li4 Li 0.3101 0.0236 0.5415
Li5 Li 0.4752 0.9360 0.0628
Li6 Li 0.6897 0.3763 0.2106
B1 B 0.1668 0.2164 0.2055
B2 B 0.4141 0.4654 0.5883
H1 H 0.0430 0.2425 0.3729
H2 H 0.1905 0.3753 0.6549
H3 H 0.2619 0.8732 0.8416
H4 H 0.3121 0.4188 0.1541
H5 H 0.3983 0.6646 0.4567
H6 H 0.5230 0.5119 0.7258
H7 H 0.5556 0.3067 0.5146
H8 H 0.7532 0.1708 0.8267
H9 H 0.7638 0.0354 0.8029
H10 H 0.7781 0.7335 0.1300
H11 H 0.8280 0.7698 0.5608
H12 H 0.8903 0.8837 0.4799
```

Most intense lines, 2θ from 15° to 90°, low angle first:
Here the text continues:
AUTHOR’S NOTE: I decided to come up with a tarot-based approach for selecting the most favorable day(s) to buy weekly lottery tickets as a way to hopefully improve the probability of success.
I don’t gamble as a rule because, if I have a 50–50 chance of winning at any game of chance, I lose around 80% of the time; so I seldom buy lottery tickets. (Casinos would love me since I’d bolster their profitability just by showing up.) But it could be that I’m leaving easy money on the table. I realize that many people use the popular form of “lucky number” numerology for this, but it’s not my strong suit. Another thought is that Thursday (Jupiter’s day) is traditionally a good day for increase of any kind, but I wanted to cast a wider net with the cards.
Inserted here: records of crystals >
- - -
Simulated X-ray powder pattern of Li2Mn3CuO8 for Cu Kα (weighted mean of Kα1 and Kα2), from a GGA+U-relaxed structure.
Kinematic intensities with the Lorentz-polarization factor, no thermal factor.

Cell lengths 8.280, 8.293, 8.302 Å; angles 90.00, 90.00, 90.00 degrees
Atoms (fractional coordinates):
1 Li 0.003 0.003 0.003
2 Li 0.127 0.873 0.373
3 Li 0.373 0.127 0.873
4 Li 0.497 0.997 0.503
5 Li 0.503 0.497 0.997
6 Li 0.627 0.627 0.627
7 Li 0.873 0.373 0.127
8 Li 0.997 0.503 0.497
9 Mn 0.126 0.128 0.627
10 Mn 0.127 0.374 0.871
11 Mn 0.128 0.627 0.125
12 Mn 0.372 0.373 0.625
13 Mn 0.373 0.626 0.371
14 Mn 0.374 0.872 0.127
15 Mn 0.626 0.372 0.373
16 Mn 0.627 0.126 0.129
17 Mn 0.628 0.873 0.875
18 Mn 0.872 0.127 0.375
19 Mn 0.873 0.874 0.629
20 Mn 0.874 0.628 0.873
21 Cu 0.243 0.244 0.244
22 Cu 0.257 0.756 0.744
23 Cu 0.743 0.256 0.756
24 Cu 0.757 0.744 0.256
25 O 0.103 0.126 0.391
26 O 0.110 0.897 0.627
27 O 0.114 0.614 0.886
28 O 0.123 0.148 0.856
29 O 0.127 0.390 0.102
30 O 0.136 0.364 0.636
31 O 0.144 0.622 0.351
32 O 0.148 0.856 0.123
33 O 0.352 0.144 0.623
34 O 0.356 0.378 0.851
35 O 0.364 0.636 0.136
36 O 0.373 0.610 0.602
37 O 0.377 0.852 0.356
38 O 0.386 0.386 0.386
39 O 0.390 0.103 0.127
40 O 0.397 0.874 0.891
41 O 0.603 0.374 0.609
42 O 0.610 0.603 0.373
43 O 0.614 0.886 0.114
44 O 0.623 0.352 0.144
45 O 0.627 0.110 0.898
46 O 0.636 0.136 0.364
47 O 0.644 0.878 0.649
48 O 0.648 0.644 0.877
49 O 0.852 0.356 0.377
50 O 0.856 0.122 0.149
51 O 0.864 0.864 0.864
52 O 0.873 0.890 0.398
53 O 0.877 0.648 0.644
54 O 0.886 0.114 0.614
55 O 0.890 0.397 0.873
56 O 0.897 0.626 0.109

Principal peaks in the range 2θ = 15–90°, by intensity:
- hkl 3 1 1, 2θ = 35.9°, I = 100
- hkl 4 4 0, 2θ = 63.5°, I = 49
- hkl 1 1 1, 2θ = 18.5°, I = 41
- hkl 1 1 5, 2θ = 57.7°, I = 28
- hkl 2 1 0, 2θ = 24.0°, I = 27
- hkl 0 2 2, 2θ = 30.5°, I = 23
- hkl 2 0 0, 2θ = 21.4°, I = 23
- hkl 0 4 0, 2θ = 43.6°, I = 22
- - -
I removed the court cards from the deck because there are really no sociological or psychological aspects to the first step of the process. I shuffled the rest of the cards and dealt seven of them, left-to-right and face-up, in a seven-card line to cover Monday through Sunday of the upcoming week. I chose not to use reversals since I’m mainly interested in the fortunate or unfortunate nature of each card and reversal doesn’t change it that much. Then I located the card or cards that seemed to be “luckiest” from a universal perspective, with positive trump cards imparting “big luck” and positive minor cards bestowing “small luck.”
Among the Major Arcana I looked for cards most associated with abundance and success, particularly the Empress, the Chariot, the Wheel of Fortune and the Sun. There are many minor cards that will serve as signposts; the Thoth deck with its on-board titles is ideal for this: 4 of Wands (Completion); 6 of Wands (Victory); 3 of Cups (Abundance); 4 of Cups (Luxury); 9 of Cups (Happiness); 4 of Disks (Power); 6 of Disks (Success); 9 of Disks (Gain); 10 of Disks (Wealth). If I were to include the Aces (the smallest of “small luck”), the Ace of Cups and Ace of Disks would be on the list. (You will no doubt have noticed that no Swords make an appearance; they are more about division and disunion than accumulation.)
In the example below, the Wheel of Fortune on Tuesday stood out from the rest, with the 4 of Disks on Friday offering a slightly less remunerative outlook. Other possibilities were Lust (Strength), the Ace of Wands and the 10 of Cups, but the first two seem too pushy about what is (at least for me) a casual pastime while the last one invites sinking too much money into it when I only want to buy one or two tickets each week. So I would most likely purchase a couple of tickets on Tuesday of the target week, or one on that day and one on Friday.
Next, to bring my personal fortunes into the picture, I selected a court card as my Significator (as usual I picked the Knight of Cups), shuffled the sub-pack of court cards and dealt them left-to-right above the daily cards until the Significator showed up. The ideal situation is to have it appear in combination with one of the “big luck” cards, and that is exactly what happened in the random pull shown in the second image below. Tuesday (with the Wheel of Fortune) is not only my best bet from a “big-picture” standpoint but also my best shot for a personal windfall (Knight of Cups). I should probably skip Friday and buy more tickets on Tuesday. (Note that the face-down cards are placeholders so the spread doesn’t become too cluttered; only the location of the Significator counts.)
Originally published at on February 27, 2024.